Monday, April 2, 2012

_Next to the page, the page also holds calculated crystals_
~~~
Entry 1:
A relaxed Ba5Cr3ClO12 crystal, computed with PBE+U. Values from VASP.

Output
Symmetry: No. 176
E_form: -2.632 eV/atom

```
&SYSTEM
  ibrav = 0, nat = 42, ntyp = 4
/
ATOMIC_SPECIES
Cr 52.00 Cr.upf
O 16.00 O.upf
Ba 137.33 Ba.upf
Cl 35.45 Cl.upf
CELL_PARAMETERS angstrom
7.300 2.214 -2.172
4.235 -6.427 7.682
-1.785 -3.914 -9.987
ATOMIC_POSITIONS crystal
Cr 0.750 0.365 0.965
O 0.072 0.910 0.649
O 0.250 0.332 0.481
Ba 0.999 0.667 0.333
Ba 0.750 0.993 0.726
O 0.928 0.090 0.351
Ba 0.001 0.333 0.667
O 0.072 0.739 0.090
O 0.750 0.453 0.868
O 0.250 0.519 0.851
Cl 0.750 0.000 0.000
Cr 0.250 0.965 0.600
Cr 0.750 0.035 0.400
O 0.250 0.149 0.668
O 0.750 0.481 0.149
O 0.250 0.585 0.453
O 0.250 0.547 0.132
Ba 0.750 0.733 0.007
Cr 0.750 0.600 0.635
Ba 0.501 0.667 0.333
O 0.928 0.649 0.739
Ba 0.499 0.333 0.667
O 0.572 0.261 0.910
Ba 0.250 0.726 0.733
Cr 0.250 0.400 0.365
O 0.750 0.851 0.332
Ba 0.250 0.267 0.993
Ba 0.750 0.274 0.267
O 0.928 0.261 0.910
O 0.250 0.868 0.415
Cl 0.250 0.000 0.000
Cr 0.250 0.635 0.035
O 0.072 0.351 0.261
O 0.750 0.668 0.519
Ba 0.250 0.007 0.274
O 0.572 0.649 0.739
O 0.428 0.351 0.261
O 0.428 0.739 0.090
O 0.572 0.090 0.351
O 0.750 0.415 0.547
O 0.750 0.132 0.585
O 0.428 0.910 0.649
```



Entry 2:
A relaxed KBaV2CuClO7 crystal, computed with PBE+U. Values from VASP.

Output
Symmetry: No. 35
E_form: -2.291 eV/atom

```
&SYSTEM
  ibrav = 0, nat = 26, ntyp = 6
/
ATOMIC_SPECIES
V 50.94 V.upf
O 16.00 O.upf
Cu 63.55 Cu.upf
Cl 35.45 Cl.upf
K 39.10 K.upf
Ba 137.33 Ba.upf
CELL_PARAMETERS angstrom
6.305 -6.415 0.000
6.305 6.415 0.000
0.000 0.000 5.620
ATOMIC_POSITIONS crystal
V 0.631 0.369 0.300
O 0.697 0.915 0.186
O 0.000 0.000 0.158
O 0.195 0.591 0.182
Cu 0.000 0.500 0.224
Cl 0.500 0.000 0.692
O 0.630 0.370 0.601
K 0.327 0.327 0.833
Cu 0.500 0.000 0.224
O 0.881 0.881 0.602
V 0.369 0.631 0.300
Cl 0.000 0.500 0.692
Ba 0.821 0.179 0.838
O 0.915 0.697 0.186
O 0.303 0.085 0.186
O 0.119 0.119 0.602
O 0.370 0.630 0.601
O 0.085 0.303 0.186
O 0.805 0.409 0.182
O 0.409 0.805 0.182
O 0.500 0.500 0.172
O 0.591 0.195 0.182
K 0.673 0.673 0.833
V 0.867 0.867 0.300
Ba 0.179 0.821 0.838
V 0.133 0.133 0.300
```



Entry 3:
A relaxed Ba2V2CuClO8 crystal, computed with PBE+U. Values from VASP.

Output
Symmetry: No. 62
E_form: -2.405 eV/atom

```
&SYSTEM
  ibrav = 0, nat = 56, ntyp = 5
/
ATOMIC_SPECIES
Ba 137.33 Ba.upf
V 50.94 V.upf
Cl 35.45 Cl.upf
O 16.00 O.upf
Cu 63.55 Cu.upf
CELL_PARAMETERS angstrom
0.000 6.163 0.000
0.000 0.000 9.696
15.210 0.000 0.000
ATOMIC_POSITIONS crystal
Ba 0.750 0.454 0.754
Ba 0.250 0.638 0.963
V 0.250 0.287 0.870
Ba 0.750 0.362 0.037
V 0.750 0.714 0.366
Cl 0.750 0.116 0.744
O 0.750 0.086 0.966
O 0.250 0.254 0.751
Ba 0.250 0.954 0.746
Cu 0.000 0.000 0.000
Cu 0.500 0.000 0.000
O 0.476 0.380 0.899
O 0.488 0.131 0.102
O 0.012 0.369 0.602
V 0.750 0.787 0.630
Ba 0.250 0.546 0.246
O 0.750 0.872 0.082
O 0.250 0.372 0.418
Ba 0.750 0.046 0.254
O 0.750 0.626 0.911
O 0.976 0.620 0.101
Cl 0.250 0.616 0.756
Cu 0.000 0.500 0.500
~~~
_Here the page continues_

Seek and you will find

"Ask and it will be given to you; seek and you will find; knock and the door will be opened to you. For everyone who asks receives; he who seeks finds; and to him who knocks the door will be opened."
Matthew 7:7-8, NIV

"If you are real, God, let me hear your voice. Let me see your face. If you are real, then why be so mysterious? Why not make it easier for people to believe?!" This phrase in some form or fashion has exited my lips more than I am willing to admit. The truth is, having faith in what I perceived to be an invisible God proved to be very difficult for me in the past. If I am being honest, there are still days where having faith is difficult...usually because life is not going as I desire and I feel like God must be absent or not care. As a nurse, I held the hands of those who were dying of cancer...many who were much too young to leave this Earth. How could a truly loving God take a mother away from her young children?

A few years back, I was hanging out with a friend at our neighborhood pool. We sat on the side (me burning to a crisp of course and unaware of the wrinkles I would get from all this tanning in my 20s...I digress) and watched her daughter splash around in the water. She, herself, was agnostic. She told me how her daughter had been going with a friend to Vacation Bible School and had wanted to get baptized. The mother, my friend, was hesitant only because she was not sure her daughter really knew what that meant...what it symbolized. She was not trying to discourage her at all, which I found very admirable. When I asked her about her own beliefs she said "You know. I want Jesus to be real and true. I mean, it all sounds really nice, but I just don't know if it is true."

Agnostic or follower of Christ, I think we can all relate to this statement. When you really study the Bible, it truly is the greatest love story ever told. But is that all it is? A really nice story? Why didn't God make it easier to believe if He really exists?

The truth is, He did come so that we could believe. He came to this Earth and His name was Jesus. He was both fully man and fully God. He performed miracles. He hung out with prostitutes and outcasts. He showed nothing but love and mercy...yet, people still didn't believe Him!! He tried to make it easier to believe. He did in fact show His face. Do you believe in history? Why is that we believe Socrates existed and he was born in 469 BC, yet we can't believe in the history of this man named Jesus?

In Greek, the word for "seek" is zēteō. It is a verb and literally means to require, crave, and demand something from someone. I love that God uses such a strong word that means demand. It makes me think of the scripture in Mark 9:24 where the father of a boy who is healed by Jesus exclaims "I do believe; help me overcome my unbelief!" This man recognized that faith is something that is God given, but he had to ask for it: "everyone who asks receives (see verse above)". It should be added that there is also grace involved,  as faith and grace (grace is the free gift you are given of salvation for having faith) are not mutually exclusive.  I'm going to keep this elementary: you want faith? Ask Him. He promises if we seek, we shall find. And know that it can be a process. Don't give up on Him. 

If you are already a believer, you don't even have to look. His spirit already dwells in you. He is there. But we are often too busy seeking our own will and desires instead of allowing Him to live through us. It is when we allow this that we can see his face. It's not that He is, He is always pulling us back as hard as He can. But, we are so resistant. It is our constant battle of self/flesh vs. God, even though we know in our hearts that God knows best.

Be persistent in your quest to know God. Our world has jaded who God is. Christians are notorious for eating their own. It's no wonder so many want nothing to do with this Jesus man we claim to believe in and love. But, you are His beloved. You are His child. He will do anything and has done everything to be with you. Don't let your doubts keep you from seeking. God doesn't rebuke people because of doubts. The Bible is full of people who doubted Him. He is big enough to handle our doubts.


  1. Sarah, so lovely. So excited for you! I posted your button on my blog and wrote a post about this new ministry for you. I hope that helps spread the word! XOXO

  2. Awesome post! Oddly enough, I was just thinking the other day that if we believe the history from the Greeks and Romans, why should we not believe the history in the Bible? And I love the verse from Mark 9:24 that you quoted...a very good prayer when those doubts set in.
